TryHackMe : Basic PentestingJT
“This is a machine that allows you to practise web app hacking and privilege escalation.”
This box is great for beginners and helps in understanding how basic tools like john and hydra can be used to brute-force our way into a system , so let’s get started with it right away !
Next to the piece, the page also holds crystal structures >
- - -
[1]
DFT (PBE) results for an optimized crystal structure of LiPuSb3.

Cell lengths 6.260, 6.067, 13.344 Å; angles 90.02, 90.02, 88.66 degrees
Positions (direct):
Pu: 0.755 0.992 0.317
Pu: 0.245 0.008 0.683
Pu: 0.756 0.492 0.683
Pu: 0.244 0.508 0.317
Sb: 0.500 0.750 0.503
Sb: 0.742 0.995 0.742
Sb: 0.259 0.506 0.742
Sb: 0.000 0.750 0.504
Sb: 0.000 0.250 0.496
Sb: 0.766 0.794 0.084
Sb: 0.234 0.206 0.916
Sb: 0.258 0.005 0.258
Sb: 0.761 0.297 0.916
Sb: 0.239 0.703 0.084
Sb: 0.741 0.494 0.258
Sb: 0.500 0.250 0.497
Li: 0.501 0.752 0.898
Li: 0.499 0.248 0.102
Li: 0.001 0.750 0.890
Li: 0.999 0.250 0.110

Properties
The calculation puts the formation energy (no corrections) at -43.84 kJ/mol of atoms. The space-group type is P-1. Its crystal system is triclinic. The value obtained for the total magnetization is 4.938 μB/f.u.

---

[2]
DFT (PBE) results for an optimized crystal structure of TaAgBiOs2.

Cell lengths 4.876, 4.781, 4.876 Å; angles 90.00, 90.00, 90.00 degrees
Positions (direct):
Os: 0.500 0.000 0.000
Os: 0.000 0.000 0.500
Ta: 0.000 0.500 0.000
Bi: 0.500 0.500 0.500
Ag: 0.000 0.000 0.000

Properties
For the formation energy, the calculation gives 2.33 eV/atom. The energy above the most stable polymorph in this dataset is 0.000 eV per atom. The space-group type is P4/mmm. Its crystal system is tetragonal. The value obtained for the total magnetization is 0.000 μB/f.u.

---

[3]
DFT (PBE) results for an optimized crystal structure of SnPtAu2.

Cell lengths 2.968, 2.968, 10.461 Å; angles 81.84, 81.84, 60.00 degrees
Positions (direct):
Pt: 0.500 0.500 0.500
Au: 0.092 0.092 0.725
Au: 0.908 0.908 0.275
Sn: 0.000 0.000 0.000

Properties
For the formation energy, the calculation gives 0.13 eV/atom. The space-group type is R-3m. Its crystal system is trigonal. The value obtained for the total magnetization is 0.000 μB/f.u.

---

[4]
DFT (PBE) results for an optimized crystal structure of TlIn7Sn4.

Cell lengths 6.164, 9.195, 7.142 Å; angles 73.72, 64.43, 70.42 degrees
Positions (direct):
Sn: 0.501 0.331 0.666
Sn: 0.745 0.672 0.839
Sn: 0.255 0.328 0.161
Sn: 0.499 0.669 0.334
In: 0.998 0.339 0.664
In: 0.002 0.661 0.336
In: 0.744 0.002 0.509
In: 0.255 0.656 0.833
In: 0.745 0.344 0.167
In: 0.256 0.998 0.491
In: 0.500 0.000 0.000
Tl: 0.000 0.000 0.000

Properties
For the formation energy, the calculation gives 0.06 eV/atom. The energy above the most stable polymorph in this dataset is 0.028 eV per atom. The space-group type is C2/m. Its crystal system is monoclinic. The value obtained for the total magnetization is 0.000 μB/f.u.

---

[5]
DFT (PBE) results for an optimized crystal structure of CsZrH3.

Cell lengths 4.716, 4.716, 4.716 Å; angles 90.00, 90.00, 90.00 degrees
Positions (direct):
H: 0.000 0.500 0.000
H: 0.500 0.000 0.000
H: 0.000 0.000 0.500
Zr: 0.500 0.500 0.500
Cs: 0.000 0.000 0.000

Properties
- - -
Back to the piece >
I start enumerating the IP with an nmap to get a list of open ports on the machine. Since it was initially blocking my ping probes , I include the -Pn flag into our command.
There are quite a lot of services running on the system. I don’t know the SSH username or password (yet) so port 80 is the way to go.
On port 80 we don’t find any such interesting information. However, there is a subtle hint hidden in there.
“Check our dev note section if you need to know what to work on.”
So somewhere there must be a dev note section, we just gotta look for it.
Fire up gobuster and begin the search for the hidden directory.
gobuster dir -u -w /usr/share/wordlists/dirbuster/directory-list-lowercase-2.3-small.txt
A few hits in and we find something of interest :
Is this the dev note section which we were searching for ? Let’s look into it.
In this development directory there are two text files which seem like a conversation between the users J and K.
Here, an interesting information is revealed. There’s SMB at play which calls for running a scan using enum4linux (The Elites don’t want you to know this but ALWAYS go for an enum4linux whenever there’s SMB involved.)
enum4linux -a
There’s a long output but one very specific piece of information is of interest to us :
So the users J and K from earlier go by the name of kay and jan. Now, from K’s letter to J , we know that J has a weak password which means it can be easily brute-forced. We get hydra to do that for us with the help of rockyou.txt by using the command :
hydra -l jan -P /usr/share/wordlists/rockyou.txt ssh
(Here the article breaks off for crystal structures)
<<<
Entry 1:
Computed, not measured: a relaxed structure of Nd4Dy8Mg at the GGA-PBE level of DFT.

- magnetization (μB per formula unit) = 0.00
- E_form (kJ/mol of formula units) = 689.0
- DOS(E_F) (states/eV/f.u.) = 20.9

Cell and atoms, written as CIF:
```
data_Nd4Dy8Mg
_space_group_name_H-M_alt 'P m -3 m'
_space_group_IT_number 221
_space_group_name_Hall '-P 4 2 3'
_cell_length_a 7.7756
_cell_length_b 7.7756
_cell_length_c 7.7756
_cell_angle_alpha 90.00
_cell_angle_beta 90.00
_cell_angle_gamma 90.00
loop_
_atom_site_label
_atom_site_fract_x
_atom_site_fract_y
_atom_site_fract_z
Nd1 0.0000 0.0000 0.0000
Nd2 0.0000 0.5000 0.5000
Dy1 0.2428 0.2428 0.2428
Mg1 0.5000 0.5000 0.5000
```

***

Entry 2:
Computed, not measured: a relaxed structure of Nd7Dy12Mg at the GGA-PBE level of DFT.

- magnetization (μB per formula unit) = 0.00
- E_form (kJ/mol of formula units) = 388.5
- DOS(E_F) (states/eV/f.u.) = 30.9

Cell and atoms, written as CIF:
```
data_Nd7Dy12Mg
_space_group_name_H-M_alt 'R -3'
_space_group_IT_number 148
_space_group_name_Hall '-R 3'
_cell_length_a 11.9947
_cell_length_b 11.9947
_cell_length_c 16.1018
_cell_angle_alpha 90.00
_cell_angle_beta 90.00
_cell_angle_gamma 120.00
loop_
_atom_site_label
_atom_site_fract_x
_atom_site_fract_y
_atom_site_fract_z
Nd1 0.0000 0.0000 0.0000
Nd2 0.0588 0.8718 0.2901
Dy1 0.0340 0.5775 0.2185
Dy2 0.0542 0.4705 0.5840
Mg1 0.0000 0.0000 0.5000
```

***

Q: Which of these has the highest E_form?
A: Nd4Dy8Mg


Below is a relaxed structure of Pm2DyYAs4, with properties calculated at the PBE-GGA level.

Computed properties:
- E_tot: -6.43 eV/atom
- ΔE_f: -1.53 eV per atom
- DOS at the Fermi energy: 0.86 states/eV/cell

Lattice parameters (Å, degrees): 4.1830 7.2414 7.2365 109.48 90.00 90.00
With the nearest neighbours (Å) after each atom.
Element x y z (fractional)
Pm1 0.5000 0.0000 0.5000  6 As 2.98-2.99
Pm2 0.0000 0.5000 0.5000  6 As 2.98
Dy1 0.5000 0.5000 0.0000  6 As 2.93
Y1 0.0000 0.0000 0.0000  6 As 2.93
As1 0.5000 0.2480 0.2431  1 Dy 2.93, 2 Y 2.93, 3 Pm 2.98
As2 0.5000 0.7520 0.7569  1 Dy 2.93, 2 Y 2.93, 3 Pm 2.98
As3 0.0000 0.2527 0.7570  2 Dy 2.93, 1 Y 2.93, 3 Pm 2.98-2.99
As4 0.0000 0.7473 0.2430  2 Dy 2.93, 1 Y 2.93, 3 Pm 2.98-2.99

Below is a relaxed structure of PmDy2Y3As6, with properties calculated at the PBE-GGA level.

Computed properties:
- E_tot: -6.65 eV/atom
- ΔE_f: -1.54 eV per atom
- DOS at the Fermi energy: 1.82 states/eV/cell

Lattice parameters (Å, degrees): 7.1741 7.1741 7.1728 99.59 99.59 119.99
With the nearest neighbours (Å) after each atom.
Element x y z (fractional)
Pm1 0.0000 0.0000 0.0000  6 As 2.96
Dy1 0.3331 0.6669 0.0000  6 As 2.92
Dy2 0.6669 0.3331 0.0000  6 As 2.92
Y1 0.1657 0.8343 0.5000  6 As 2.91-2.93
Y2 0.8343 0.1657 0.5000  6 As 2.91-2.93
Y3 0.5000 0.5000 0.5000  6 As 2.90-2.93
As1 0.9160 0.5787 0.7481  3 Y 2.91-2.93, 2 Dy 2.92, 1 Pm 2.96
As2 0.7464 0.7464 0.2514  3 Y 2.90-2.93, 2 Dy 2.92, 1 Pm 2.96
As3 0.0840 0.4213 0.2519  3 Y 2.91-2.93, 2 Dy 2.92, 1 Pm 2.96
>>>
(Here the article continues)
And after a few tries we get what we are looking for.
So the password for the user jan is armando. We use this information to SSH into the machine as the user jan.
ssh jan@
Now it’s time to search for privilege escalation vectors and try to leverage them. This time our old friend sudo -l disappoints us :(
There’s nothing of interest in the home directory of the user jan either.
Finding nothing here , we move over to /home/kay. Here, we got a bunch of interesting files and folders. The one which drew my attention first was pass.bak but unfortunately we couldn’t read it’s contents.
So we move onto the next thing which drew my attention which is the .ssh directory and cd into it.
And here we have user kay’s SSH private key !!! Now we need to just copy it to our system. You can just go for copy-paste but I used netcat to get the job done.
Once we have the id_rsa we change it’s permissions as follows :
chmod 600 id_rsa
However when we try to SSH in as kay using this private key , we are faced with a challenge.
The private key is protected by a password. ENTER JOHN THE RIPPER !
We generate the hash for the given password file and store it in a new file using :
/usr/share/john/ id_rsa > id_hash
Now all we need to do is crack this hash to get the password and we deploy john again armed with our rockyou.txt
john id_hash — wordlist=/usr/share/wordlists/rockyou.txt
This gives us the password in a jiffy and now we can use it to SSH in as kay and this time use the private key to log in into the system.
ssh -i id_rsa kay@
Once we login as user kay it’s just a matter of reading out the password stored in pass.bak file and get the required flag.
With this we come to the end of another CTF challenge from TryHackMe. This box has been a fun practice and is really helpful for understanding how to use tools like hydra and john. See ya all till next time.